/*
CsCuF4: calculated powder XRD pattern (λ = 1.5418 Å (Cu Kα)), based on a GGA-PBE-relaxed structure.
Kinematic intensities with the Lorentz-polarization factor, no thermal factor.

Crystal structure
```
data_CsCuF4
_chemical_formula_sum 'Cs4 Cu4 F16'
_cell_length_a 6.418
_cell_length_b 6.418
_cell_length_c 12.108
_cell_angle_alpha 90.00
_cell_angle_beta 90.00
_cell_angle_gamma 90.00
_symmetry_space_group_name_H-M 'I 4/m c m'
_symmetry_Int_Tables_number 140
_symmetry_space_group_name_Hall '-I 4 2c'
loop_
_atom_site_label
_atom_site_type_symbol
_atom_site_fract_x
_atom_site_fract_y
_atom_site_fract_z
Cs1 Cs 0.000 0.000 0.250
Cu1 Cu 0.000 0.500 0.000
F1 F 0.139 0.361 0.104
```

The 6 most intense peaks (2θ from 10° to 90°), in order of falling intensity:
2θ/deg, Rel. int.
24.51, 100
27.80, 29
47.23, 27
40.99, 26
65.19, 14
39.72, 13


Ca3Au: calculated powder XRD pattern (λ = 1.5418 Å (Cu Kα)), based on a GGA-PBE-relaxed structure.
Kinematic intensities with the Lorentz-polarization factor, no thermal factor.

Crystal structure
```
data_Ca3Au
_chemical_formula_sum 'Ca24 Au8'
_cell_length_a 12.612
_cell_length_b 12.612
_cell_length_c 6.399
_cell_angle_alpha 90.00
_cell_angle_beta 90.00
_cell_angle_gamma 90.00
_symmetry_space_group_name_H-M 'P 42/n'
_symmetry_Int_Tables_number 86
loop_
_symmetry_equiv_pos_as_xyz
'x,y,z'
'-x,-y,-z'
'-y,x+1/2,z+1/2'
'y,-x+1/2,-z+1/2'
'-x+1/2,-y+1/2,z'
'x+1/2,y+1/2,-z'
'y+1/2,-x,z+1/2'
'-y+1/2,x,-z+1/2'
loop_
_atom_site_label
_atom_site_type_symbol
_atom_site_fract_x
_atom_site_fract_y
_atom_site_fract_z
Ca1 Ca 0.030 0.581 0.229
Ca2 Ca 0.115 0.212 0.022
Ca3 Ca 0.133 0.666 0.721
Au1 Au 0.045 0.199 0.529
```

The 6 most intense peaks (2θ from 10° to 90°), in order of falling intensity:
2θ/deg, Rel. int.
19.77, 100
35.99, 48
31.72, 38
39.04, 37
22.29, 35
19.91, 34


SmTiBi2: calculated powder XRD pattern (λ = 1.5418 Å (Cu Kα)), based on a GGA-PBE-relaxed structure.
Kinematic intensities with the Lorentz-polarization factor, no thermal factor.

Crystal structure
```
data_SmTiBi2
_chemical_formula_sum 'Sm1 Ti1 Bi2'
_cell_length_a 3.624
_cell_length_b 3.624
_cell_length_c 7.994
_cell_angle_alpha 90.00
_cell_angle_beta 90.00
_cell_angle_gamma 90.00
_symmetry_space_group_name_H-M 'P 4/m m m'
_symmetry_Int_Tables_number 123
_symmetry_space_group_name_Hall '-P 4 2'
loop_
_atom_site_label
_atom_site_type_symbol
_atom_site_fract_x
_atom_site_fract_y
_atom_site_fract_z
Sm1 Sm 0.000 0.000 0.000
Ti1 Ti 0.000 0.000 0.500
Bi1 Bi 0.500 0.500 0.282
```

The 6 most intense peaks (2θ from 10° to 90°), in order of falling intensity:
2θ/deg, Rel. int.
33.37, 100
35.01, 49
61.76, 35
50.35, 18
27.01, 18
24.56, 15


La5CuBi3: calculated powder XRD pattern (λ = 1.5418 Å (Cu Kα)), based on a GGA-PBE-relaxed structure.
Kinematic intensities with the Lorentz-polarization factor, no thermal factor.

Crystal structure
```
data_La5CuBi3
_chemical_formula_sum 'La10 Cu2 Bi6'
_cell_length_a 9.8442
_cell_length_b 9.8442
_cell_length_c 6.7589
_cell_angle_alpha 90.00
_cell_angle_beta 90.00
_cell_angle_gamma 120.00
_symmetry_space_group_name_H-M 'P 63/m c m'
_symmetry_Int_Tables_number 193
_symmetry_space_group_name_Hall '-P 6c 2'
loop_
_atom_site_label
_atom_site_type_symbol
_atom_site_fract_x
_atom_site_fract_y
_atom_site_fract_z
La1 La 0.0000 0.2585 0.2500
La2 La 0.3333 0.6667 0.0000
Cu1 Cu 0.0000 0.0000 0.0000
Bi1 Bi 0.0000 0.3832 0.7500
```

The 6 most intense peaks (2θ from 10° to 90°), in order of falling intensity:
2θ/deg, Rel. int.
32.13, 100
30.74, 89
31.48, 82
64.10, 26
45.60, 26
40.41, 25


Li8ZnCu4: calculated powder XRD pattern (λ = 1.5418 Å (Cu Kα)), based on a GGA-PBE-relaxed structure.
Kinematic intensities with the Lorentz-polarization factor, no thermal factor.

Crystal structure
```
data_Li8ZnCu4
_chemical_formula_sum 'Li16 Zn2 Cu8'
_cell_length_a 8.997
_cell_length_b 8.997
_cell_length_c 4.896
_cell_angle_alpha 90.00
_cell_angle_beta 90.00
_cell_angle_gamma 90.00
_symmetry_space_group_name_H-M 'I 4/m m m'
*/

It remains to repeat the material earlier on without additions.

CsCuF4: calculated powder XRD pattern (λ = 1.5418 Å (Cu Kα)), based on a GGA-PBE-relaxed structure.
Kinematic intensities with the Lorentz-polarization factor, no thermal factor.

Crystal structure
```
data_CsCuF4
_chemical_formula_sum 'Cs4 Cu4 F16'
_cell_length_a 6.418
_cell_length_b 6.418
_cell_length_c 12.108
_cell_angle_alpha 90.00
_cell_angle_beta 90.00
_cell_angle_gamma 90.00
_symmetry_space_group_name_H-M 'I 4/m c m'
_symmetry_Int_Tables_number 140
_symmetry_space_group_name_Hall '-I 4 2c'
loop_
_atom_site_label
_atom_site_type_symbol
_atom_site_fract_x
_atom_site_fract_y
_atom_site_fract_z
Cs1 Cs 0.000 0.000 0.250
Cu1 Cu 0.000 0.500 0.000
F1 F 0.139 0.361 0.104
```

The 6 most intense peaks (2θ from 10° to 90°), in order of falling intensity:
2θ/deg, Rel. int.
24.51, 100
27.80, 29
47.23, 27
40.99, 26
65.19, 14
39.72, 13


Ca3Au: calculated powder XRD pattern (λ = 1.5418 Å (Cu Kα)), based on a GGA-PBE-relaxed structure.
Kinematic intensities with the Lorentz-polarization factor, no thermal factor.

Crystal structure
```
data_Ca3Au
_chemical_formula_sum 'Ca24 Au8'
_cell_length_a 12.612
_cell_length_b 12.612
_cell_length_c 6.399
_cell_angle_alpha 90.00
_cell_angle_beta 90.00
_cell_angle_gamma 90.00
_symmetry_space_group_name_H-M 'P 42/n'
_symmetry_Int_Tables_number 86
loop_
_symmetry_equiv_pos_as_xyz
'x,y,z'
'-x,-y,-z'
'-y,x+1/2,z+1/2'
'y,-x+1/2,-z+1/2'
'-x+1/2,-y+1/2,z'
'x+1/2,y+1/2,-z'
'y+1/2,-x,z+1/2'
'-y+1/2,x,-z+1/2'
loop_
_atom_site_label
_atom_site_type_symbol
_atom_site_fract_x
_atom_site_fract_y
_atom_site_fract_z
Ca1 Ca 0.030 0.581 0.229
Ca2 Ca 0.115 0.212 0.022
Ca3 Ca 0.133 0.666 0.721
Au1 Au 0.045 0.199 0.529
```

The 6 most intense peaks (2θ from 10° to 90°), in order of falling intensity:
2θ/deg, Rel. int.
19.77, 100
35.99, 48
31.72, 38
39.04, 37
22.29, 35
19.91, 34


SmTiBi2: calculated powder XRD pattern (λ = 1.5418 Å (Cu Kα)), based on a GGA-PBE-relaxed structure.
Kinematic intensities with the Lorentz-polarization factor, no thermal factor.

Crystal structure
```
data_SmTiBi2
_chemical_formula_sum 'Sm1 Ti1 Bi2'
_cell_length_a 3.624
_cell_length_b 3.624
_cell_length_c 7.994
_cell_angle_alpha 90.00
_cell_angle_beta 90.00
_cell_angle_gamma 90.00
_symmetry_space_group_name_H-M 'P 4/m m m'
_symmetry_Int_Tables_number 123
_symmetry_space_group_name_Hall '-P 4 2'
loop_
_atom_site_label
_atom_site_type_symbol
_atom_site_fract_x
_atom_site_fract_y
_atom_site_fract_z
Sm1 Sm 0.000 0.000 0.000
Ti1 Ti 0.000 0.000 0.500
Bi1 Bi 0.500 0.500 0.282
```

The 6 most intense peaks (2θ from 10° to 90°), in order of falling intensity:
2θ/deg, Rel. int.
33.37, 100
35.01, 49
61.76, 35
50.35, 18
27.01, 18
24.56, 15


La5CuBi3: calculated powder XRD pattern (λ = 1.5418 Å (Cu Kα)), based on a GGA-PBE-relaxed structure.
Kinematic intensities with the Lorentz-polarization factor, no thermal factor.

Crystal structure
```
data_La5CuBi3
_chemical_formula_sum 'La10 Cu2 Bi6'
_cell_length_a 9.8442
_cell_length_b 9.8442
_cell_length_c 6.7589
_cell_angle_alpha 90.00
_cell_angle_beta 90.00
_cell_angle_gamma 120.00
_symmetry_space_group_name_H-M 'P 63/m c m'
_symmetry_Int_Tables_number 193
_symmetry_space_group_name_Hall '-P 6c 2'
loop_
_atom_site_label
_atom_site_type_symbol
_atom_site_fract_x
_atom_site_fract_y
_atom_site_fract_z
La1 La 0.0000 0.2585 0.2500
La2 La 0.3333 0.6667 0.0000
Cu1 Cu 0.0000 0.0000 0.0000
Bi1 Bi 0.0000 0.3832 0.7500
```

The 6 most intense peaks (2θ from 10° to 90°), in order of falling intensity:
2θ/deg, Rel. int.
32.13, 100
30.74, 89
31.48, 82
64.10, 26
45.60, 26
40.41, 25


Li8ZnCu4: calculated powder XRD pattern (λ = 1.5418 Å (Cu Kα)), based on a GGA-PBE-relaxed structure.
Kinematic intensities with the Lorentz-polarization factor, no thermal factor.

Crystal structure
```
data_Li8ZnCu4
_chemical_formula_sum 'Li16 Zn2 Cu8'
_cell_length_a 8.997
_cell_length_b 8.997
_cell_length_c 4.896
_cell_angle_alpha 90.00
_cell_angle_beta 90.00
_cell_angle_gamma 90.00
_symmetry_space_group_name_H-M 'I 4/m m m'